The reader should print everything below word for word.
- - -
Record 1
# Sr2NpAlS6
Theoretical X-ray diffraction stick pattern, Cu Kα, 1.54184 Å. Input: a DFT-relaxed cell (PBE, Alexandria).
Lines closer than 0.1° are merged.

Most intense lines, 2θ = 15–90°, by angle:
| d_spacing | 2θ (°) | I/Imax |
| --- | --- | --- |
| 5.718 | 15.50 | 99.8 |
| 5.532 | 16.02 | 54.8 |
| 4.883 | 18.17 | 57.4 |
| 3.463 | 25.73 | 100.0 |
| 3.437 | 25.93 | 100.0 |
| 2.919 | 30.63 | 83.1 |
| 2.444 | 36.77 | 77.8 |
| 2.434 | 36.93 | 50.9 |

Structural model:
```
data_Sr2NpAlS6
_chemical_formula_sum 'Sr4 Np2 Al2 S12'
_cell_length_a 6.7726
_cell_length_b 7.0646
_cell_length_c 11.8024
_cell_angle_alpha 90.00
_cell_angle_beta 124.41
_cell_angle_gamma 90.00
_space_group_name_H-M_alt 'P 1'
_space_group_IT_number 1
loop_
_space_group_symop_operation_xyz
'x,y,z'
loop_
_atom_site_label
_atom_site_fract_x
_atom_site_fract_y
_atom_site_fract_z
Sr1 0.2262 0.0695 0.2465
Sr2 0.2262 0.4305 0.7465
Sr3 0.7738 0.5695 0.2535
Sr4 0.7738 0.9305 0.7535
Np1 0.5000 0.0000 0.0000
Np2 0.5000 0.5000 0.5000
Al1 0.0000 0.0000 0.5000
Al2 0.0000 0.5000 0.0000
S1 0.1481 0.2099 0.9560
S2 0.1481 0.2901 0.4560
S3 0.2491 0.6941 0.9566
S4 0.2491 0.8059 0.4566
S5 0.3261 0.0149 0.7407
S6 0.3261 0.4851 0.2407
S7 0.6739 0.5149 0.7593
S8 0.6739 0.9851 0.2593
S9 0.7509 0.1941 0.5434
S10 0.7509 0.3059 0.0434
S11 0.8519 0.7099 0.5440
S12 0.8519 0.7901 0.0440
```



Record 2
# Ca3Ga2Ag3
Theoretical X-ray diffraction stick pattern, Cu Kα, 1.54184 Å. Input: a DFT-relaxed cell (PBE, Alexandria).
Lines closer than 0.1° are merged.

Most intense lines, 2θ = 15–90°, by angle:
| d_spacing | 2θ (°) | I/Imax |
| --- | --- | --- |
| 4.787 | 18.53 | 64.5 |
| 3.966 | 22.42 | 47.5 |
| 2.841 | 31.49 | 54.9 |
| 2.563 | 35.01 | 85.6 |
| 2.470 | 36.37 | 67.6 |
| 2.454 | 36.62 | 87.7 |
| 2.286 | 39.41 | 100.0 |
| 2.060 | 43.95 | 54.6 |

Structural model:
```
data_Ca3Ga2Ag3
_chemical_formula_sum 'Ca12 Ga8 Ag12'
_cell_length_a 8.0840
_cell_length_b 15.9781
_cell_length_c 5.9413
_cell_angle_alpha 90.00
_cell_angle_beta 90.00
_cell_angle_gamma 90.00
_space_group_name_H-M_alt 'P 1'
_space_group_IT_number 1
loop_
_space_group_symop_operation_xyz
'x,y,z'
loop_
_atom_site_label
_atom_site_fract_x
_atom_site_fract_y
_atom_site_fract_z
Ca1 0.0295 0.1066 0.1311
Ca2 0.0295 0.3934 0.1311
Ca3 0.1662 0.2500 0.6234
Ca4 0.3338 0.7500 0.1234
Ca5 0.4705 0.6066 0.6311
Ca6 0.4705 0.8934 0.6311
Ca7 0.5295 0.1066 0.3689
Ca8 0.5295 0.3934 0.3689
Ca9 0.6662 0.2500 0.8766
Ca10 0.8338 0.7500 0.3766
Ca11 0.9705 0.6066 0.8689
Ca12 0.9705 0.8934 0.8689
Ga1 0.1212 0.6092 0.3700
Ga2 0.1212 0.8908 0.3700
Ga3 0.3788 0.1092 0.8700
Ga4 0.3788 0.3908 0.8700
Ga5 0.6212 0.6092 0.1300
Ga6 0.6212 0.8908 0.1300
Ga7 0.8788 0.1092 0.6300
Ga8 0.8788 0.3908 0.6300
Ag1 0.1748 0.0343 0.5974
Ag2 0.1748 0.4657 0.5974
Ag3 0.1850 0.7500 0.6143
Ag4 0.3150 0.2500 0.1143
Ag5 0.3252 0.5343 0.0974
Ag6 0.3252 0.9657 0.0974
Ag7 0.6748 0.0343 0.9026
Ag8 0.6748 0.4657 0.9026
Ag9 0.6850 0.7500 0.8857
Ag10 0.8150 0.2500 0.3857
Ag11 0.8252 0.5343 0.4026
Ag12 0.8252 0.9657 0.4026
```



Record 3
# HfTi4Ga6
Theoretical X-ray diffraction stick pattern, Cu Kα, 1.54184 Å. Input: a DFT-relaxed cell (PBE, Alexandria).
Lines closer than 0.1° are merged.

Most intense lines, 2θ = 15–90°, by angle:
| d_spacing | 2θ (°) | I/Imax |
| --- | --- | --- |
| 4.910 | 18.07 | 28.9 |
| 2.945 | 30.35 | 100.0 |
| 2.779 | 32.21 | 72.3 |
| 2.455 | 36.60 | 33.2 |
| 2.318 | 38.85 | 27.0 |
| 2.246 | 40.15 | 43.2 |
| 2.191 | 41.21 | 75.8 |
| 2.170 | 41.63 | 25.2 |

Structural model:
```
data_HfTi4Ga6
_chemical_formula_sum 'Hf1 Ti4 Ga6'
_cell_length_a 6.7528
_cell_length_b 6.7528
_cell_length_c 6.7528
_cell_angle_alpha 118.12
_cell_angle_beta 118.12
_cell_angle_gamma 93.30
_space_group_name_H-M_alt 'P 1'
_space_group_IT_number 1
loop_
_space_group_symop_operation_xyz
'x,y,z'
loop_
_atom_site_label
_atom_site_fract_x
_atom_site_fract_y
_atom_site_fract_z
Hf1 0.0000 0.0000 0.0000
Ti1 0.2715 0.6062 0.0000
Ti2 0.3938 0.3938 0.6653
Ti3 0.6062 0.2715 0.0000
- - -
Record 1
# Sr2NpAlS6
Theoretical X-ray diffraction stick pattern, Cu Kα, 1.54184 Å. Input: a DFT-relaxed cell (PBE, Alexandria).
Lines closer than 0.1° are merged.

Most intense lines, 2θ = 15–90°, by angle:
| d_spacing | 2θ (°) | I/Imax |
| --- | --- | --- |
| 5.718 | 15.50 | 99.8 |
| 5.532 | 16.02 | 54.8 |
| 4.883 | 18.17 | 57.4 |
| 3.463 | 25.73 | 100.0 |
| 3.437 | 25.93 | 100.0 |
| 2.919 | 30.63 | 83.1 |
| 2.444 | 36.77 | 77.8 |
| 2.434 | 36.93 | 50.9 |

Structural model:
```
data_Sr2NpAlS6
_chemical_formula_sum 'Sr4 Np2 Al2 S12'
_cell_length_a 6.7726
_cell_length_b 7.0646
_cell_length_c 11.8024
_cell_angle_alpha 90.00
_cell_angle_beta 124.41
_cell_angle_gamma 90.00
_space_group_name_H-M_alt 'P 1'
_space_group_IT_number 1
loop_
_space_group_symop_operation_xyz
'x,y,z'
loop_
_atom_site_label
_atom_site_fract_x
_atom_site_fract_y
_atom_site_fract_z
Sr1 0.2262 0.0695 0.2465
Sr2 0.2262 0.4305 0.7465
Sr3 0.7738 0.5695 0.2535
Sr4 0.7738 0.9305 0.7535
Np1 0.5000 0.0000 0.0000
Np2 0.5000 0.5000 0.5000
Al1 0.0000 0.0000 0.5000
Al2 0.0000 0.5000 0.0000
S1 0.1481 0.2099 0.9560
S2 0.1481 0.2901 0.4560
S3 0.2491 0.6941 0.9566
S4 0.2491 0.8059 0.4566
S5 0.3261 0.0149 0.7407
S6 0.3261 0.4851 0.2407
S7 0.6739 0.5149 0.7593
S8 0.6739 0.9851 0.2593
S9 0.7509 0.1941 0.5434
S10 0.7509 0.3059 0.0434
S11 0.8519 0.7099 0.5440
S12 0.8519 0.7901 0.0440
```



Record 2
# Ca3Ga2Ag3
Theoretical X-ray diffraction stick pattern, Cu Kα, 1.54184 Å. Input: a DFT-relaxed cell (PBE, Alexandria).
Lines closer than 0.1° are merged.

Most intense lines, 2θ = 15–90°, by angle:
| d_spacing | 2θ (°) | I/Imax |
| --- | --- | --- |
| 4.787 | 18.53 | 64.5 |
| 3.966 | 22.42 | 47.5 |
| 2.841 | 31.49 | 54.9 |
| 2.563 | 35.01 | 85.6 |
| 2.470 | 36.37 | 67.6 |
| 2.454 | 36.62 | 87.7 |
| 2.286 | 39.41 | 100.0 |
| 2.060 | 43.95 | 54.6 |

Structural model:
```
data_Ca3Ga2Ag3
_chemical_formula_sum 'Ca12 Ga8 Ag12'
_cell_length_a 8.0840
_cell_length_b 15.9781
_cell_length_c 5.9413
_cell_angle_alpha 90.00
_cell_angle_beta 90.00
_cell_angle_gamma 90.00
_space_group_name_H-M_alt 'P 1'
_space_group_IT_number 1
loop_
_space_group_symop_operation_xyz
'x,y,z'
loop_
_atom_site_label
_atom_site_fract_x
_atom_site_fract_y
_atom_site_fract_z
Ca1 0.0295 0.1066 0.1311
Ca2 0.0295 0.3934 0.1311
Ca3 0.1662 0.2500 0.6234
Ca4 0.3338 0.7500 0.1234
Ca5 0.4705 0.6066 0.6311
Ca6 0.4705 0.8934 0.6311
Ca7 0.5295 0.1066 0.3689
Ca8 0.5295 0.3934 0.3689
Ca9 0.6662 0.2500 0.8766
Ca10 0.8338 0.7500 0.3766
Ca11 0.9705 0.6066 0.8689
Ca12 0.9705 0.8934 0.8689
Ga1 0.1212 0.6092 0.3700
Ga2 0.1212 0.8908 0.3700
Ga3 0.3788 0.1092 0.8700
Ga4 0.3788 0.3908 0.8700
Ga5 0.6212 0.6092 0.1300
Ga6 0.6212 0.8908 0.1300
Ga7 0.8788 0.1092 0.6300
Ga8 0.8788 0.3908 0.6300
Ag1 0.1748 0.0343 0.5974
Ag2 0.1748 0.4657 0.5974
Ag3 0.1850 0.7500 0.6143
Ag4 0.3150 0.2500 0.1143
Ag5 0.3252 0.5343 0.0974
Ag6 0.3252 0.9657 0.0974
Ag7 0.6748 0.0343 0.9026
Ag8 0.6748 0.4657 0.9026
Ag9 0.6850 0.7500 0.8857
Ag10 0.8150 0.2500 0.3857
Ag11 0.8252 0.5343 0.4026
Ag12 0.8252 0.9657 0.4026
```



Record 3
# HfTi4Ga6
Theoretical X-ray diffraction stick pattern, Cu Kα, 1.54184 Å. Input: a DFT-relaxed cell (PBE, Alexandria).
Lines closer than 0.1° are merged.

Most intense lines, 2θ = 15–90°, by angle:
| d_spacing | 2θ (°) | I/Imax |
| --- | --- | --- |
| 4.910 | 18.07 | 28.9 |
| 2.945 | 30.35 | 100.0 |
| 2.779 | 32.21 | 72.3 |
| 2.455 | 36.60 | 33.2 |
| 2.318 | 38.85 | 27.0 |
| 2.246 | 40.15 | 43.2 |
| 2.191 | 41.21 | 75.8 |
| 2.170 | 41.63 | 25.2 |

Structural model:
```
data_HfTi4Ga6
_chemical_formula_sum 'Hf1 Ti4 Ga6'
_cell_length_a 6.7528
_cell_length_b 6.7528
_cell_length_c 6.7528
_cell_angle_alpha 118.12
_cell_angle_beta 118.12
_cell_angle_gamma 93.30
_space_group_name_H-M_alt 'P 1'
_space_group_IT_number 1
loop_
_space_group_symop_operation_xyz
'x,y,z'
loop_
_atom_site_label
_atom_site_fract_x
_atom_site_fract_y
_atom_site_fract_z
Hf1 0.0000 0.0000 0.0000
Ti1 0.2715 0.6062 0.0000
Ti2 0.3938 0.3938 0.6653
Ti3 0.6062 0.2715 0.0000